Your job: echo the calculation results further below from the first line to the one with "0.0000) x3" exactly.

-- begin --
w) Crystalline ReTe2IrN at its relaxed geometry. Source: Alexandria via LeMat-Bulk, functional GGA-PBE.

Cell: 5.2775 5.2775 3.6714 Å, 90.00 90.00 90.00°
With the nearest neighbours (Å) after each atom.
Space group P4/mmm (No. 123)
Inequivalent atoms, fractional coordinates:
Re (0.0000, 0.0000, 0.0000) x1  2 N 1.84
Te (0.0000, 0.5000, 0.0000) x2  2 Re 2.64
Ir (0.5000, 0.5000, 0.5000) x1  8 Te 3.21
N (0.0000, 0.0000, 0.5000) x1  2 Re 1.84

The value obtained for the spin magnetization is 0.00 μB/f.u. Its density of states at the Fermi level is 5.12 states/eV/f.u.

***

x) Crystalline ReTe2IrN at its relaxed geometry. Source: Alexandria via LeMat-Bulk, functional GGA-PBE.

Cell: 5.3925 5.3925 3.6084 Å, 90.00 90.00 90.00°
With the nearest neighbours (Å) after each atom.
Space group P4/mmm (No. 123)
Inequivalent atoms, fractional coordinates:
Re (0.0000, 0.0000, 0.0000) x1  8 Te 3.24, 2 Re 3.61
Te (0.0000, 0.5000, 0.5000) x2  2 Ir 2.70
Ir (0.5000, 0.5000, 0.5000) x1  2 N 1.80
N (0.5000, 0.5000, 0.0000) x1  2 Ir 1.80

The value obtained for the spin magnetization is 2.28 μB/f.u. Its density of states at the Fermi level is 2.91 states/eV/f.u.

***

Which of them is the most stable? Correct choice: w).

***

w) Crystalline Ir2Rh2N at its relaxed geometry. Source: Alexandria via LeMat-Bulk, functional GGA-PBE.

Cell: 3.5131 3.5131 12.6875 Å, 90.00 90.00 90.00°
With the nearest neighbours (Å) after each atom.
Space group I4/mmm (No. 139)
Inequivalent atoms, fractional coordinates:
Ir (0.0000, 0.5000, 0.2500) x4  4 Ir 2.48, 4 Rh 2.63
Rh (0.0000, 0.0000, 0.0962) x4  1 Rh 2.44, 4 Ir 2.63
N (0.0000, 0.0000, 0.5000) x2  8 Rh 2.77

The value obtained for the spin magnetization is 0.00 μB/f.u. Its density of states at the Fermi level is 6.02 states/eV/f.u.

***

x) Crystalline Ir2Rh2N at its relaxed geometry. Source: Alexandria via LeMat-Bulk, functional GGA-PBE.

Cell: 5.3192 5.3192 4.9380 Å, 90.00 90.00 90.00°
With the nearest neighbours (Å) after each atom.
Space group P4/mbm (No. 127)
Inequivalent atoms, fractional coordinates:
Ir (0.1710, 0.3290, 0.0000) x4  5 Ir 2.57-2.79, 2 Rh 2.69
Rh (0.1864, 0.6864, 0.5000) x4  2 N 1.94
N (0.0000, 0.0000, 0.5000) x2  4 Rh 1.94

The value obtained for the spin magnetization is 0.00 μB/f.u. Its density of states at the Fermi level is 7.66 states/eV/f.u.

***

Which of them is the most stable? Correct choice: x).

***

w) Crystalline IrRhN2 at its relaxed geometry. Source: Alexandria via LeMat-Bulk, functional GGA-PBE.

Cell: 2.8718 2.8718 19.0745 Å, 90.00 90.00 120.00°
With the nearest neighbours (Å) after each atom.
Space group R-3m (No. 166, hexagonal axes)
Inequivalent atoms, fractional coordinates:
Ir (0.0000, 0.0000, 0.0000) x3  2 N 1.92
Rh (0.0000, 0.0000, 0.5000) x3  6 N 2.08
N (0.0000, 0.0000, 0.1008) x6  1 Ir 1.92, 3 Rh 2.08

The value obtained for the spin magnetization is 0.00 μB/f.u. Its density of states at the Fermi level is 2.72 states/eV/f.u.

***

x) Crystalline IrRhN2 at its relaxed geometry. Source: Alexandria via LeMat-Bulk, functional GGA-PBE.

Cell: 4.6421 4.6421 9.2709 Å, 90.00 90.00 90.00°
With the nearest neighbours (Å) after each atom.
Space group I-42d (No. 122)
Inequivalent atoms, fractional coordinates:
Ir (0.0000, 0.0000, 0.0000) x4  4 N 1.99
Rh (0.0000, 0.0000, 0.5000) x4  4 N 2.03
N (0.2411, 0.2500, 0.1250) x8  2 Ir 1.99, 2 Rh 2.03

The value obtained for the spin magnetization is 0.00 μB/f.u. Its density of states at the Fermi level is 2.69 states/eV/f.u.

***

Which of them is the most stable? Correct choice: w).

***

w) Crystalline Ir3RhN at its relaxed geometry. Source: Alexandria via LeMat-Bulk, functional GGA-PBE.

Cell: 4.0747 4.0747 4.0747 Å, 90.00 90.00 90.00°
With the nearest neighbours (Å) after each atom.
Space group Pm-3m (No. 221)
Inequivalent atoms, fractional coordinates:
Ir (0.0000, 0.0000, 0.5000) x3  2 N 2.04
Rh (0.5000, 0.5000, 0.5000) x1  12 Ir 2.88
N (0.0000, 0.0000, 0.0000) x1  6 Ir 2.04
-- stop --

w) Crystalline ReTe2IrN at its relaxed geometry. Source: Alexandria via LeMat-Bulk, functional GGA-PBE.

Cell: 5.2775 5.2775 3.6714 Å, 90.00 90.00 90.00°
With the nearest neighbours (Å) after each atom.
Space group P4/mmm (No. 123)
Inequivalent atoms, fractional coordinates:
Re (0.0000, 0.0000, 0.0000) x1  2 N 1.84
Te (0.0000, 0.5000, 0.0000) x2  2 Re 2.64
Ir (0.5000, 0.5000, 0.5000) x1  8 Te 3.21
N (0.0000, 0.0000, 0.5000) x1  2 Re 1.84

The value obtained for the spin magnetization is 0.00 μB/f.u. Its density of states at the Fermi level is 5.12 states/eV/f.u.

***

x) Crystalline ReTe2IrN at its relaxed geometry. Source: Alexandria via LeMat-Bulk, functional GGA-PBE.

Cell: 5.3925 5.3925 3.6084 Å, 90.00 90.00 90.00°
With the nearest neighbours (Å) after each atom.
Space group P4/mmm (No. 123)
Inequivalent atoms, fractional coordinates:
Re (0.0000, 0.0000, 0.0000) x1  8 Te 3.24, 2 Re 3.61
Te (0.0000, 0.5000, 0.5000) x2  2 Ir 2.70
Ir (0.5000, 0.5000, 0.5000) x1  2 N 1.80
N (0.5000, 0.5000, 0.0000) x1  2 Ir 1.80

The value obtained for the spin magnetization is 2.28 μB/f.u. Its density of states at the Fermi level is 2.91 states/eV/f.u.

***

Which of them is the most stable? Correct choice: w).

***

w) Crystalline Ir2Rh2N at its relaxed geometry. Source: Alexandria via LeMat-Bulk, functional GGA-PBE.

Cell: 3.5131 3.5131 12.6875 Å, 90.00 90.00 90.00°
With the nearest neighbours (Å) after each atom.
Space group I4/mmm (No. 139)
Inequivalent atoms, fractional coordinates:
Ir (0.0000, 0.5000, 0.2500) x4  4 Ir 2.48, 4 Rh 2.63
Rh (0.0000, 0.0000, 0.0962) x4  1 Rh 2.44, 4 Ir 2.63
N (0.0000, 0.0000, 0.5000) x2  8 Rh 2.77

The value obtained for the spin magnetization is 0.00 μB/f.u. Its density of states at the Fermi level is 6.02 states/eV/f.u.

***

x) Crystalline Ir2Rh2N at its relaxed geometry. Source: Alexandria via LeMat-Bulk, functional GGA-PBE.

Cell: 5.3192 5.3192 4.9380 Å, 90.00 90.00 90.00°
With the nearest neighbours (Å) after each atom.
Space group P4/mbm (No. 127)
Inequivalent atoms, fractional coordinates:
Ir (0.1710, 0.3290, 0.0000) x4  5 Ir 2.57-2.79, 2 Rh 2.69
Rh (0.1864, 0.6864, 0.5000) x4  2 N 1.94
N (0.0000, 0.0000, 0.5000) x2  4 Rh 1.94

The value obtained for the spin magnetization is 0.00 μB/f.u. Its density of states at the Fermi level is 7.66 states/eV/f.u.

***

Which of them is the most stable? Correct choice: x).

***

w) Crystalline IrRhN2 at its relaxed geometry. Source: Alexandria via LeMat-Bulk, functional GGA-PBE.

Cell: 2.8718 2.8718 19.0745 Å, 90.00 90.00 120.00°
With the nearest neighbours (Å) after each atom.
Space group R-3m (No. 166, hexagonal axes)
Inequivalent atoms, fractional coordinates:
Ir (0.0000, 0.0000, 0.0000) x3  2 N 1.92